Applicants for a Higher Program-Related Semester
Transfer students from other universities who wish to continue their degree at the University of Bonn must apply for admission to a higher program-related semester if the degree program has admission restrictions. The same is true for students who wish to resume their studies after interrupting their degree and for students who wish to enter a degree program at a higher semester after being enrolled in a different program. No application is necessary for degree programs without admission restrictions.
Important Notice for applicants based on their vocational training and experience
Transfer applicants from other universities who originally qualified for university admission based on their vocational training and experience must first apply for having their university entrance qualification reviewed by the Student Registry. The deadlines are July 1 for the winter semester and January 1 for the summer semester.
How do I apply for admission to a higher program-related semester?
For many degree programs at the University of Bonn, admission restrictions not only apply to admission to the first program-related semester but also to other or all higher program-related semesters. In these cases, candidates must apply for admission. There are two scenarios for entering a higher program-related semester: You may transfer to Bonn from a different university but in the same program, or you may switch from one degree program to another degree program.
== Here the piece breaks off for calculated molecules ==
<<<
Record 1
{"formula": "C23H38BBrFO13P", "method": "the ωB97M-V functional and the def2-TZVPD basis", "e_homo_ev": -8.110, "lumo_ev": 0.24, "spin_multiplicity": 1, "smiles": "CCP(C)[C@H]1[C@H](C[C@@H](C)F)OC(=O)[C@]1(Br)CB(O)O.C[C@@H]1COC(=O)O1.C[C@@H]1COC(=O)O1.C[C@@H]1COC(=O)O1", "elements": ["C", "C", "P", "C", "C", "C", "C", "C", "C", "F", "O", "C", "O", "C", "Br", "C", "B", "O", "O", "H", "H", "H", "H", "H", "H", "H", "H", "H", "H", "H", "H", "H", "H", "H", "H", "H", "H", "H", "H", "C", "C", "C", "O", "C", "O", "O", "H", "H", "H", "H", "H", "H", "C", "C", "C", "O", "C", "O", "O", "H", "H", "H", "H", "H", "H", "C", "C", "C", "O", "C", "O", "O", "H", "H", "H", "H", "H", "H"], "coordinates": [[1.10, -0.47, 4.71], [1.76, -1.59, 3.91], [1.09, -1.84, 2.21], [-0.57, -2.55, 2.51], [1.01, -0.08, 1.52], [2.07, -0.09, 0.37], [3.44, 0.60, 0.46], [3.74, 1.74, 1.43], [3.03, 3.08, 1.28], [3.67, 1.29, 2.73], [1.35, 0.02, -0.91], [0.07, -0.34, -0.64], [-0.63, -1.03, -1.32], [-0.20, 0.37, 0.67], [-1.98, 0.12, 1.47], [-0.22, 1.85, 0.32], [-1.49, 2.25, -0.53], [-1.87, 1.59, -1.67], [-2.21, 3.37, -0.15], [1.56, 0.49, 4.50], [1.28, -0.66, 5.76], [0.03, -0.45, 4.58], [2.83, -1.53, 3.89], [1.52, -2.53, 4.40], [-1.12, -2.04, 3.30], [-0.46, -3.60, 2.74], [-1.14, -2.47, 1.60], [1.09, 0.66, 2.29], [2.37, -1.12, 0.32], [4.12, -0.19, 0.76], [3.75, 0.88, -0.53], [4.79, 1.97, 1.27], [3.76, 3.85, 1.48], [2.19, 3.21, 1.95], [2.75, 3.20, 0.24], [-0.25, 2.44, 1.21], [0.65, 2.14, -0.25], [-2.43, 0.83, -1.48], [-2.61, 3.20, 0.71], [0.01, -3.51, -2.68], [0.36, -4.69, -3.55], [-0.80, -5.60, -3.88], [-0.12, -6.86, -4.11], [1.01, -6.85, -3.37], [1.70, -7.80, -3.17], [1.24, -5.61, -2.87], [-0.48, -3.83, -1.76], [0.91, -2.97, -2.39], [-0.65, -2.83, -3.20], [0.86, -4.35, -4.46], [-1.35, -5.29, -4.76], [-1.49, -5.73, -3.05], [1.14, 7.44, 5.29], [0.95, 6.34, 4.28], [-0.43, 5.74, 4.24], [-0.16, 4.41, 3.75], [1.10, 4.09, 4.14], [1.58, 3.00, 4.06], [1.74, 5.18, 4.62], [0.85, 7.11, 6.29], [2.18, 7.74, 5.35], [0.54, 8.31, 5.02], [1.27, 6.68, 3.29], [-1.11, 6.26, 3.57], [-0.89, 5.66, 5.23], [-2.93, -1.35, -6.87], [-3.64, -2.42, -6.08], [-4.72, -1.92, -5.15], [-4.74, -2.94, -4.14], [-3.50, -3.48, -4.09], [-3.12, -4.22, -3.24], [-2.76, -3.06, -5.15], [-2.52, -0.58, -6.20], [-2.09, -1.77, -7.42], [-3.61, -0.88, -7.58], [-4.03, -3.19, -6.76], [-5.70, -1.83, -5.63], [-4.46, -0.97, -4.68]]}

***

Record 2
>>>
The application for admission to a higher program-related semester is only available online and is the same for all applicants.
If you want to be admitted to a degree program without admission restrictions, the only document you need is the credit transfer notification of the examination authority concerned. Exeption: Students for Stateexamination Law who wants to enroll for the 5th Semester (or higher) need an academic progress report.
Please note that in most academic disciplines, admission for the summer semester is only possible for students in even semesters (2nd, 4th, etc.) and admission for the winter semester is only possible for students in odd semesters (3rd, 5th, etc.).

Restricted admission?
Whether or not admission restrictions also apply to higher program-related semesters in a given degree program is determined in August for the upcoming academic year.
Click here for an overview of programs with restricted admission (only German)
Recognition of study achievements
To be able to apply for admission to a higher program-related semester, you first need to have your prior achievements recognized by the examination authority in charge of the program.
Applicants for the state examination degree program in medicine/dentistry and pharmacy require a certificate of credit transfer from the relevant `Landesprüfungsamt´ if they were previously enrolled in another degree program or abroad.
Application deadlines
The following application deadlines apply:
Summer semester:
Beginning of December - March 15
Winter semester:
Beginning of June - September 15
Transfer students from other universities and students who wish to resume their studies after taking leave only need to provide a current certificate of enrollment; a credit transfer notification is not required. Students from other academic disciplines who wish to enroll first need to consult with the examination office.
Changing universities
The following applies if you are currently enrolled at a different German university or at a university in an EU member state and wish to continue the same degree program at the University of Bonn. This is typically the case with programs in medicine and dentistry.
For all other degree programs, the decision whether it is in fact the same program is made by the relevant examination authority to which you submit your request to be placed in a higher program-related semester before applying.
Required documents
If you were already enrolled in the requested degree program at a German university, please enclose an academic progress report from your university and the credit transfer notification from the relevant examination authority at the University of Bonn (only in the case of a Bachelor Program). The academic progress report must include the name of the degree program and the number of program-related semesters.
A certificate of good standing issued by the previous university and prove of your passed examinations is only required for applicants in medicine (preclinical phase) and dentistry. This requirement only applies to candidates changing universities or resuming their studies within Germany.
If you have previously been enrolled in a model or reform course of study in medicine at a university in Germany, a certificate of equivalence from the previous university must be submitted.
Exception: If you study medicine or dentistry in an EU member state, you must submit both a credit transfer notification and a certificate of enrollment. The certificate of enrollment must be in English or translated into German.
Changing degree programs
Another option is to switch degree programs and be admitted to a higher program-related semester in the new degree program if you have already earned credits equivalent to at least one program-related semester that can be transferred toward the new degree program. To make the necessary request for placement in a higher program-related semester, contact the relevant examination authority at the University of Bonn or the State Examination Office before applying for admission.
What comes next are quantum chemistry results, not part of the article
........
Computed, not measured: a molecular structure, C33H66N3O5PSi2 at a distorted geometry, with wB97M-V/def2-TZVPD.

Geometry as XYZ:
```
110
Properties=species:S:1:pos:R:3:mulliken_spin:R:1
C 1.52 -0.66 -1.87 0.000
C 0.12 -1.41 -1.89 0.000
O 0.01 -2.56 -1.56 0.000
O -1.01 -0.65 -2.27 0.000
C -1.15 -0.68 -3.72 0.000
C -2.20 0.40 -4.23 0.000
Si -1.75 2.05 -3.36 0.000
C 0.02 2.49 -4.00 0.000
C 0.45 3.99 -3.67 0.000
C 1.43 4.13 -2.44 0.000
C 2.91 4.27 -3.01 0.000
N 3.93 3.65 -2.14 0.000
C 4.08 2.29 -1.85 0.000
C 5.18 2.02 -0.92 -0.009
C 5.74 3.39 -0.64 0.000
C 4.94 4.30 -1.44 0.000
O -2.75 3.36 -3.80 0.000
Si -3.90 3.80 -2.61 0.000
C -3.19 4.12 -0.87 0.000
P -5.61 2.40 -2.46 0.000
C -6.94 3.17 -3.60 0.000
C -6.42 2.53 -0.74 0.005
H 1.94 -0.66 -2.91 0.000
H 2.20 -1.15 -1.13 0.000
H 1.35 0.40 -1.51 0.000
H -1.35 -1.71 -4.12 0.000
H -0.13 -0.38 -4.12 0.000
H -1.97 0.55 -5.32 0.000
H -3.26 0.09 -4.04 0.000
H -1.59 1.88 -1.91 0.000
H 0.78 1.72 -3.67 0.000
H -0.04 2.40 -5.12 0.000
H -0.50 4.57 -3.50 0.000
H 0.97 4.41 -4.58 0.000
H 1.13 5.06 -1.88 0.000
H 1.31 3.26 -1.74 0.000
H 3.09 5.38 -3.11 0.000
H 2.99 3.79 -4.03 0.000
H 3.43 1.48 -2.26 0.000
H 5.46 1.02 -0.53 0.013
H 6.60 3.59 0.04 0.000
H 5.20 5.38 -1.37 0.000
H -4.48 5.09 -3.06 0.000
H -2.30 3.51 -0.59 0.000
H -3.98 3.93 -0.08 0.000
H -2.90 5.20 -0.81 0.000
H -7.91 2.69 -3.28 0.000
H -7.02 4.25 -3.32 0.000
H -6.71 3.02 -4.68 0.000
H -7.50 2.24 -0.91 0.002
H -6.42 3.57 -0.34 0.000
H -5.97 1.81 -0.01 -0.004
C -4.79 -2.52 2.22 0.016
C -5.50 -1.24 2.73 0.017
C -5.87 -1.32 4.22 0.017
C -7.12 -2.14 4.54 -0.016
C -8.29 -1.67 3.67 0.016
C -7.94 -1.71 2.17 0.026
N -6.68 -0.97 1.85 0.333
O -6.96 0.33 1.93 0.605
C -7.85 -3.19 1.74 0.015
C -9.14 -1.18 1.36 -0.009
C -4.39 -0.17 2.63 -0.015
H -5.41 -3.18 1.62 -0.011
H -3.96 -2.28 1.56 0.000
H -4.39 -3.11 3.05 -0.001
H -6.04 -0.31 4.61 0.003
H -5.03 -1.73 4.79 0.002
H -6.93 -3.20 4.40 0.000
H -7.38 -2.01 5.59 0.002
H -9.16 -2.30 3.87 0.000
H -8.57 -0.66 3.96 0.003
H -7.55 -3.28 0.70 -0.008
H -8.82 -3.68 1.84 0.000
H -7.17 -3.79 2.35 0.000
H -9.43 -0.17 1.64 -0.001
H -10.02 -1.81 1.52 0.000
H -8.92 -1.19 0.29 0.000
H -4.11 0.02 1.59 0.001
H -3.50 -0.50 3.16 0.000
H -4.68 0.79 3.08 0.001
C 9.69 -2.13 2.77 0.009
C 8.26 -1.62 2.47 0.030
C 7.19 -2.37 3.30 0.016
C 6.81 -3.74 2.77 -0.018
C 6.45 -3.66 1.29 0.018
C 7.58 -3.03 0.46 0.026
N 8.02 -1.70 1.00 0.334
O 7.07 -0.82 0.70 0.584
C 8.76 -4.04 0.41 0.013
C 7.14 -2.93 -1.01 -0.006
C 8.29 -0.18 3.02 -0.003
H 10.11 -2.77 2.00 -0.010
H 10.41 -1.31 2.83 -0.002
H 9.74 -2.68 3.71 0.000
H 6.28 -1.76 3.33 0.005
H 7.52 -2.46 4.34 0.002
H 7.62 -4.46 2.95 0.000
H 5.94 -4.11 3.33 0.002
H 6.23 -4.67 0.92 0.000
H 5.53 -3.09 1.17 0.003
H 9.62 -3.61 -0.11 -0.007
H 8.46 -4.95 -0.12 0.000
H 9.08 -4.38 1.39 0.000
H 6.22 -2.36 -1.14 0.001
H 6.94 -3.93 -1.42 0.000
H 7.92 -2.48 -1.63 0.000
H 8.97 0.46 2.45 -0.002
H 8.63 -0.18 4.06 0.001
H 7.30 0.29 3.02 0.001
```

Output
- HOMO energy (alpha / beta) (Ha) = -0.285 / -0.285
........
Required documents
If you were previously enrolled in a different degree program or at a university outside Germany, please enclose the credit transfer notification of the relevant University of Bonn examination authority with your application!
If you are currently enrolled in Germany, please also submit an academic progress report issued by your current university. The report must include the number of program-related semesters.
If you were enrolled at a foreign university, we also need a certificate of enrollment. The certificate of enrollment must be in English or translated into German.
The application deadlines for transfer admission to higher program-related semesters are available under application deadlines.
Contact information
### Quantum chemistry results that have nothing to do with the article
+++
Here is a cluster of 2 separate species, C15H31N3O10P2S4 in total from OMol25. Energies are from wB97M-V/def2-TZVPD.

Calculated values
**Multiplicity**: 1
**Charge**: -2
**Frontier orbital gap**: 0.13871 Ha
**HOMO energy**: 0.17 eV

Each line ends with the natural charge from an NBO analysis.
Atoms and positions in Å:
C1 3.1269 -1.3256 3.8502  -0.7412
C2 1.5068 -1.1967 3.6445  0.7344
O1 0.8177 -0.6262 4.6719  -0.5452
N1 0.6936 -1.6833 2.4702  -0.6172
C3 0.9466 -3.1285 2.1191  0.7228
C4 2.3645 -3.8055 1.6582  -0.7257
O2 -0.1222 -3.9678 2.1961  -0.5291
C5 0.7450 -0.7569 1.2786  0.6624
O3 1.3272 0.4844 1.8892  -0.7341
O4 1.7350 -1.0061 0.1974  -0.8558
P1 1.1095 -0.5695 -1.3757  1.1114
S1 0.3784 -0.0858 -3.3709  -0.2366
P2 3.1389 -1.1436 -2.0751  0.4873
S2 3.4121 -0.7509 -3.9661  -0.6359
C6 0.6863 -2.3745 -1.9256  0.4069
O5 0.8453 -3.4603 -1.1587  -0.7864
O6 0.1656 -2.5974 -3.3091  -0.8195
S3 1.5370 1.5458 -1.2789  1.6217
C7 3.2697 1.9581 -0.6982  -0.8830
O7 1.3775 2.1036 -2.7471  -0.9453
O8 0.5218 2.3572 -0.4206  -0.9639
O9 -0.4701 -0.1379 -0.7777  -0.8453
C8 -0.7799 -0.4718 0.6525  0.4903
C9 -1.6500 0.7553 1.3347  -0.4642
C10 -2.7045 0.2784 2.4952  -0.2122
N2 -2.0813 -0.4168 3.6854  -0.8465
N3 -1.6768 -1.6680 0.8782  -0.6126
C11 -2.4766 -1.9395 -0.2032  0.4770
C12 -2.3620 -3.4630 -0.8843  -0.7038
C13 -3.5855 -0.9409 -0.8831  -0.7509
H1 3.7152 -1.6923 2.9056  0.2324
H2 3.6444 -0.3095 4.2017  0.2445
H3 3.2872 -2.0713 4.7687  0.2347
H4 3.1178 -3.9330 2.5755  0.1988
H5 2.1532 -4.8777 1.2369  0.2627
H6 2.9588 -3.2198 0.8382  0.2649
H7 2.2782 0.5244 1.5230  0.4804
H8 -1.0282 0.0606 -3.1547  0.1495
H9 3.1787 -2.6060 -1.9565  0.0414
H10 4.1864 -0.6539 -1.2077  -0.0612
H11 3.7770 1.1340 -0.0299  0.2144
H12 3.9040 2.1913 -1.6814  0.2667
H13 3.2150 2.9350 -0.0459  0.2446
H14 -1.0030 1.6472 1.7284  0.2471
H15 -2.3134 1.2029 0.4489  0.2262
H16 -3.2018 1.2768 2.9209  0.1684
H17 -3.6246 -0.3573 2.0832  0.1653
H18 -2.0920 -1.4652 3.5027  0.3758
H19 -2.6582 -0.2853 4.5495  0.3363
H20 -3.3871 -4.0284 -0.7481  0.1793
H21 -1.5447 -4.1022 -0.3269  0.2767
H22 -2.1601 -3.3143 -2.0298  0.2809
H23 -3.0776 0.0730 -1.2520  0.2678
H24 -4.0587 -1.4147 -1.8688  0.2207
H25 -4.4603 -0.6163 -0.1718  0.2209
C14 -0.7173 5.1638 -3.6549  -0.8337
S4 -1.5447 4.1923 -2.3735  1.3157
O10 -2.5821 3.3454 -3.0487  -0.9799
C15 -2.3997 5.5888 -1.6051  -0.8389
H26 -0.1438 4.4846 -4.2902  0.2630
H27 -1.4579 5.6891 -4.2627  0.2035
H28 -0.0380 5.8810 -3.1880  0.2152
H29 -3.0359 6.0880 -2.3399  0.2072
H30 -1.6649 6.2920 -1.2060  0.2157
H31 -3.0186 5.2107 -0.7878  0.2332

Atoms 1-2, force components in eV/Å:
C 0.4 -0.2 0.5
C -3.1 3.5 5.2

=====

Here is a structure of composition C32H32EuNO from OMol25. Energies are from wB97M-V/def2-TZVPD.

Calculated values
**Multiplicity**: 8
**Charge**: -1
**Frontier orbital gap (spin up / spin down)**: 0.21798 / 0.24335 Ha
**HOMO energy (spin up / spin down)**: -3.35 / -4.04 eV

Each line ends with the Mulliken charge.
Atoms and positions in Å:
+++
### The article goes on
More information
Transferring to another academic discipline or university
You are considering a transfer to another academic discipline or university but are unsure what needs to be taken into account and how to best proceed? On this page, you will find extensive information on transferring to another academic discipline or university. Please contact the Central Study Advisory and Counseling Service if you have any questions or need support.
Switching to Another Subject or Degree Program
If you wish to change your subject for the next semester, switch to a completely different degree program or add a degree program to your existing studies.